-- Source --
~~~
1.
Gd4GaSbS9 PBE optimized geometry; symmetry = Aea2; crystal system = orthorhombic
1.0
13.644 0.000 0.000
0.000 6.993 7.102
0.000 -6.993 7.102
Gd Ga Sb S
16 4 4 36
Cartesian
1.378 -4.590 7.102
1.416 1.558 7.859
2.478 2.318 4.026
2.536 5.465 7.252
4.285 -1.529 7.252
4.344 2.318 11.128
5.405 -5.435 7.859
5.444 2.403 7.102
8.199 -2.403 7.102
8.238 5.435 7.859
9.300 -2.318 11.128
9.358 1.529 7.252
11.107 -5.465 7.252
11.166 -2.318 4.026
12.227 -1.558 7.859
12.266 4.590 7.102
1.258 -1.469 3.880
5.564 -1.469 10.981
8.080 1.469 10.981
12.386 1.469 3.880
1.542 -1.122 10.521
5.280 -1.122 3.419
8.363 1.122 3.419
12.102 1.122 10.521
0.000 0.000 5.173
0.000 0.000 14.095
0.106 -4.265 9.637
0.926 3.539 6.044
1.109 1.319 10.673
1.356 -1.257 8.050
2.597 -2.771 5.239
2.698 -0.159 2.637
3.355 3.275 8.758
3.397 0.802 13.223
3.424 0.802 6.121
3.467 -3.718 8.758
4.123 -0.159 9.739
4.224 4.222 5.239
5.465 5.736 8.050
5.713 1.319 3.572
5.896 -3.455 6.044
6.716 2.728 9.637
6.822 0.000 6.994
6.822 0.000 12.274
6.928 -2.728 9.637
7.748 3.455 6.044
7.931 -1.319 3.572
8.178 -5.736 8.050
9.419 -4.222 5.239
9.520 0.159 9.739
10.176 3.718 8.758
10.219 -0.802 6.121
10.246 -0.802 13.223
10.289 -3.275 8.758
10.945 0.159 2.637
11.046 2.771 5.239
12.287 1.257 8.050
12.535 -1.319 10.673
12.718 -3.539 6.044
13.538 4.265 9.637


2.
Sc3V2Ge4 PBE optimized geometry; symmetry = Pnma; crystal system = orthorhombic
1.0
6.845 0.000 0.000
0.000 13.503 0.000
0.000 0.000 7.067
Sc V Ge
12 8 16
Cartesian
1.089 3.376 0.049
1.155 8.422 1.189
1.155 11.832 1.189
2.268 1.671 4.722
2.268 5.081 4.722
2.333 10.127 3.582
4.512 3.376 3.485
4.577 8.422 2.345
4.577 11.832 2.345
5.690 1.671 5.879
5.690 5.081 5.879
5.756 10.127 7.019
0.082 8.060 4.843
0.082 12.194 4.843
3.341 1.309 1.309
3.341 5.443 1.309
3.504 8.060 5.758
3.504 12.194 5.758
6.763 1.309 2.225
6.763 5.443 2.225
0.176 3.376 4.254
1.229 0.583 6.881
1.229 6.169 6.881
1.393 10.127 6.022
2.029 3.376 2.488
2.193 7.334 3.348
2.193 12.920 3.348
3.246 10.127 0.721
3.599 3.376 6.347
4.652 0.583 3.720
4.652 6.169 3.720
4.816 10.127 4.579
5.452 3.376 1.046
5.616 7.334 0.186
5.616 12.920 0.186
6.669 10.127 2.813


3.
Li3Y PBE optimized geometry; symmetry = P6_3/mmc; crystal system = hexagonal
1.0
6.568 0.000 0.000
-3.284 5.688 0.000
0.000 0.000 4.993
Li Y
6 2
Cartesian
0.000 1.704 1.248
-1.809 4.836 1.248
1.476 0.852 3.745
1.809 4.836 1.248
5.093 0.852 3.745
3.284 3.984 3.745
0.000 3.792 3.745
3.284 1.896 1.248


ΔH_f (0 K) across the listed records, respectively: -1.845; -0.373; 0.183 eV per atom.

=====

Computed, not measured: crystalline Na14Al4Ga4Si7S5O48 at its relaxed geometry at the PBE level of DFT. Values from VASP.

Structure (Quantum ESPRESSO input):
```
&SYSTEM
  ibrav = 0, nat = 246, ntyp = 6
/
ATOMIC_SPECIES
Na 22.99 Na.upf
Al 26.98 Al.upf
Ga 69.72 Ga.upf
Si 28.09 Si.upf
S 32.06 S.upf
O 16.00 O.upf
CELL_PARAMETERS angstrom
-12.158 7.865 -10.082
5.708 -5.699 -3.600
-13.874 -16.411 3.738
ATOMIC_POSITIONS crystal
Na 0.814 0.996 0.245
Na 0.185 0.365 0.254
Na 0.686 0.367 0.253
Na 0.999 0.641 0.245
Na 0.499 0.641 0.246
Na 0.313 0.633 0.752
Na 0.998 0.356 0.749
Na 0.501 0.359 0.750
Na 0.184 0.003 0.756
Na 0.687 0.007 0.757
Na 0.146 0.334 0.583
Na 0.648 0.335 0.584
Na 0.336 0.974 0.581
Na 0.837 0.974 0.583
Na 0.146 0.958 0.085
Na 0.652 0.962 0.085
Na 0.337 0.699 0.083
Na 0.836 0.706 0.081
Na 0.485 0.675 0.922
Na 0.981 0.673 0.923
Na 0.348 0.028 0.915
Na 0.845 0.025 0.919
Na 0.169 0.298 0.912
Na 0.671 0.301 0.912
Na 0.483 0.290 0.419
Na 0.983 0.291 0.419
Na 0.169 0.039 0.408
Na 0.669 0.040 0.409
Na 0.346 0.667 0.411
Na 0.847 0.668 0.412
Na 0.999 0.005 0.499
Na 0.499 0.005 0.498
Na 0.994 0.993 0.002
Na 0.501 0.995 0.000
Na 0.328 0.327 0.835
Na 0.826 0.333 0.834
Na 0.326 0.318 0.330
Na 0.828 0.328 0.331
Na 0.166 0.673 0.169
Na 0.666 0.672 0.164
Na 0.161 0.660 0.668
Na 0.668 0.660 0.670
Al 0.996 0.022 0.652
Al 0.500 0.028 0.652
Al 0.993 0.972 0.146
Al 0.498 0.971 0.150
Al 0.837 0.333 0.690
Al 0.336 0.341 0.189
Al 0.162 0.672 0.015
~~~
-- Assignment --
Start at the top of the material further up and give back each line, ending with the one that has "0.326 0.318", please.
-- Result --
1.
Gd4GaSbS9 PBE optimized geometry; symmetry = Aea2; crystal system = orthorhombic
1.0
13.644 0.000 0.000
0.000 6.993 7.102
0.000 -6.993 7.102
Gd Ga Sb S
16 4 4 36
Cartesian
1.378 -4.590 7.102
1.416 1.558 7.859
2.478 2.318 4.026
2.536 5.465 7.252
4.285 -1.529 7.252
4.344 2.318 11.128
5.405 -5.435 7.859
5.444 2.403 7.102
8.199 -2.403 7.102
8.238 5.435 7.859
9.300 -2.318 11.128
9.358 1.529 7.252
11.107 -5.465 7.252
11.166 -2.318 4.026
12.227 -1.558 7.859
12.266 4.590 7.102
1.258 -1.469 3.880
5.564 -1.469 10.981
8.080 1.469 10.981
12.386 1.469 3.880
1.542 -1.122 10.521
5.280 -1.122 3.419
8.363 1.122 3.419
12.102 1.122 10.521
0.000 0.000 5.173
0.000 0.000 14.095
0.106 -4.265 9.637
0.926 3.539 6.044
1.109 1.319 10.673
1.356 -1.257 8.050
2.597 -2.771 5.239
2.698 -0.159 2.637
3.355 3.275 8.758
3.397 0.802 13.223
3.424 0.802 6.121
3.467 -3.718 8.758
4.123 -0.159 9.739
4.224 4.222 5.239
5.465 5.736 8.050
5.713 1.319 3.572
5.896 -3.455 6.044
6.716 2.728 9.637
6.822 0.000 6.994
6.822 0.000 12.274
6.928 -2.728 9.637
7.748 3.455 6.044
7.931 -1.319 3.572
8.178 -5.736 8.050
9.419 -4.222 5.239
9.520 0.159 9.739
10.176 3.718 8.758
10.219 -0.802 6.121
10.246 -0.802 13.223
10.289 -3.275 8.758
10.945 0.159 2.637
11.046 2.771 5.239
12.287 1.257 8.050
12.535 -1.319 10.673
12.718 -3.539 6.044
13.538 4.265 9.637


2.
Sc3V2Ge4 PBE optimized geometry; symmetry = Pnma; crystal system = orthorhombic
1.0
6.845 0.000 0.000
0.000 13.503 0.000
0.000 0.000 7.067
Sc V Ge
12 8 16
Cartesian
1.089 3.376 0.049
1.155 8.422 1.189
1.155 11.832 1.189
2.268 1.671 4.722
2.268 5.081 4.722
2.333 10.127 3.582
4.512 3.376 3.485
4.577 8.422 2.345
4.577 11.832 2.345
5.690 1.671 5.879
5.690 5.081 5.879
5.756 10.127 7.019
0.082 8.060 4.843
0.082 12.194 4.843
3.341 1.309 1.309
3.341 5.443 1.309
3.504 8.060 5.758
3.504 12.194 5.758
6.763 1.309 2.225
6.763 5.443 2.225
0.176 3.376 4.254
1.229 0.583 6.881
1.229 6.169 6.881
1.393 10.127 6.022
2.029 3.376 2.488
2.193 7.334 3.348
2.193 12.920 3.348
3.246 10.127 0.721
3.599 3.376 6.347
4.652 0.583 3.720
4.652 6.169 3.720
4.816 10.127 4.579
5.452 3.376 1.046
5.616 7.334 0.186
5.616 12.920 0.186
6.669 10.127 2.813


3.
Li3Y PBE optimized geometry; symmetry = P6_3/mmc; crystal system = hexagonal
1.0
6.568 0.000 0.000
-3.284 5.688 0.000
0.000 0.000 4.993
Li Y
6 2
Cartesian
0.000 1.704 1.248
-1.809 4.836 1.248
1.476 0.852 3.745
1.809 4.836 1.248
5.093 0.852 3.745
3.284 3.984 3.745
0.000 3.792 3.745
3.284 1.896 1.248


ΔH_f (0 K) across the listed records, respectively: -1.845; -0.373; 0.183 eV per atom.

=====

Computed, not measured: crystalline Na14Al4Ga4Si7S5O48 at its relaxed geometry at the PBE level of DFT. Values from VASP.

Structure (Quantum ESPRESSO input):
```
&SYSTEM
  ibrav = 0, nat = 246, ntyp = 6
/
ATOMIC_SPECIES
Na 22.99 Na.upf
Al 26.98 Al.upf
Ga 69.72 Ga.upf
Si 28.09 Si.upf
S 32.06 S.upf
O 16.00 O.upf
CELL_PARAMETERS angstrom
-12.158 7.865 -10.082
5.708 -5.699 -3.600
-13.874 -16.411 3.738
ATOMIC_POSITIONS crystal
Na 0.814 0.996 0.245
Na 0.185 0.365 0.254
Na 0.686 0.367 0.253
Na 0.999 0.641 0.245
Na 0.499 0.641 0.246
Na 0.313 0.633 0.752
Na 0.998 0.356 0.749
Na 0.501 0.359 0.750
Na 0.184 0.003 0.756
Na 0.687 0.007 0.757
Na 0.146 0.334 0.583
Na 0.648 0.335 0.584
Na 0.336 0.974 0.581
Na 0.837 0.974 0.583
Na 0.146 0.958 0.085
Na 0.652 0.962 0.085
Na 0.337 0.699 0.083
Na 0.836 0.706 0.081
Na 0.485 0.675 0.922
Na 0.981 0.673 0.923
Na 0.348 0.028 0.915
Na 0.845 0.025 0.919
Na 0.169 0.298 0.912
Na 0.671 0.301 0.912
Na 0.483 0.290 0.419
Na 0.983 0.291 0.419
Na 0.169 0.039 0.408
Na 0.669 0.040 0.409
Na 0.346 0.667 0.411
Na 0.847 0.668 0.412
Na 0.999 0.005 0.499
Na 0.499 0.005 0.498
Na 0.994 0.993 0.002
Na 0.501 0.995 0.000
Na 0.328 0.327 0.835
Na 0.826 0.333 0.834
Na 0.326 0.318 0.330